<<<
# 1
A plane-wave DFT calculation with PBE was carried out for a relaxed DyMg149 crystal.

Values from the calculation:
The formation energy is -0.026 eV per atom. The total energy comes out at -246.9 eV/cell.

Cell: 16.0117 16.0117 15.6414 Å, 90.00 90.00 120.00°
Space group P-6m2 (No. 187)
Unique sites:
Dy (0.0000, 0.0000, 0.0000) (multiplicity 1)
Mg (0.0000, 0.0000, 0.3348) (multiplicity 2)
Mg (0.0000, 0.2006, 0.3335) (multiplicity 12)
Mg (0.0001, 0.4002, 0.0000) (multiplicity 6)
Mg (0.9998, 0.4003, 0.3338) (multiplicity 12)
Mg (0.0028, 0.2049, 0.0000) (multiplicity 6)
Mg (0.0660, 0.5330, 0.5000) (multiplicity 3)
Mg (0.0668, 0.1336, 0.5000) (multiplicity 3)
Mg (0.0669, 0.3336, 0.5000) (multiplicity 6)
Mg (0.0667, 0.5334, 0.1673) (multiplicity 6)
Mg (0.0680, 0.1359, 0.1696) (multiplicity 6)
Mg (0.0680, 0.3355, 0.1677) (multiplicity 12)
Mg (0.2002, 0.4004, 0.3341) (multiplicity 6)
Mg (0.1998, 0.5999, 0.3336) (multiplicity 6)
Mg (0.2005, 0.6003, 0.0000) (multiplicity 3)
Mg (0.2016, 0.4031, 0.0000) (multiplicity 3)
Mg (0.2640, 0.1320, 0.1647) (multiplicity 6)
Mg (0.2672, 0.1336, 0.5000) (multiplicity 3)
Mg (0.2671, 0.5343, 0.1673) (multiplicity 6)
Mg (0.2668, 0.5335, 0.5000) (multiplicity 3)
Mg (0.3997, 0.1998, 0.3328) (multiplicity 6)
Mg (0.4012, 0.2006, 0.0000) (multiplicity 3)
Mg (0.4657, 0.1330, 0.1665) (multiplicity 12)
Mg (0.4670, 0.1341, 0.5000) (multiplicity 6)
Mg (0.6001, 0.2001, 0.0000) (multiplicity 3)
Mg (0.6000, 0.1999, 0.3327) (multiplicity 6)
Mg (0.6667, 0.3333, 0.1661) (multiplicity 2)
Mg (0.6667, 0.3333, 0.5000) (multiplicity 1)



# 2
A plane-wave DFT calculation with PBE was carried out for a relaxed DyMgMnS4 crystal.

Values from the calculation:
The formation energy is -1.552 eV per atom. The total energy comes out at -163.1 eV/cell.

Cell: 7.5774 7.7411 10.5383 Å, 90.00 90.00 90.00°
Space group Imma (No. 74)
Unique sites:
Dy (0.0000, 0.0000, 0.0000) (multiplicity 4)
Mg (0.0000, 0.2500, 0.3742) (multiplicity 4)
Mn (0.2500, 0.2500, 0.7500) (multiplicity 4)
S (0.0000, 0.0298, 0.7447) (multiplicity 8)
S (0.2479, 0.2500, 0.9796) (multiplicity 8)



# 3
A plane-wave DFT calculation with PBE was carried out for a relaxed DyMgMoS4 crystal.

Values from the calculation:
The formation energy is -1.503 eV per atom. The total energy comes out at -168.4 eV/cell.

Cell: 7.6440 7.7056 10.7723 Å, 90.00 90.00 90.00°
Space group Imma (No. 74)
Unique sites:
Dy (0.0000, 0.0000, 0.0000) (multiplicity 4)
Mg (0.0000, 0.2500, 0.3768) (multiplicity 4)
Mo (0.2500, 0.2500, 0.7500) (multiplicity 4)
S (0.0000, 0.0282, 0.7465) (multiplicity 8)
S (0.2476, 0.2500, 0.9847) (multiplicity 8)


# 1
# SnP2O7, optimized geometry, DFT PBE
# DFT total energy in eV per atom: -6.8266
# Size of the total moment in μB/f.u.: 0.00
# ΔE to the lowest computed polymorph in meV per atom: 167
# Energy relative to the elements in eV per formula unit: -23.60
data_SnP2O7
_symmetry_space_group_name_H-M 'P 1'
_symmetry_Int_Tables_number 1
_cell_length_a 8.836
_cell_length_b 7.057
_cell_length_c 9.543
_cell_angle_alpha 72.65
_cell_angle_beta 90.00
_cell_angle_gamma 90.00
loop_
_symmetry_equiv_pos_as_xyz
'x,y,z'
loop_
_atom_site_label
_atom_site_fract_x
_atom_site_fract_y
_atom_site_fract_z
O1 0.912 0.521 0.141
O2 0.785 0.743 0.918
P1 0.783 0.532 0.030
O3 0.236 0.896 0.199
P2 0.217 0.468 0.970
P3 0.740 0.909 0.255
P4 0.240 0.091 0.245
P5 0.283 0.468 0.470
O4 0.297 0.630 0.548
Sn1 0.428 0.697 0.700
O5 0.736 0.104 0.301
O6 0.264 0.896 0.699
O7 0.088 0.479 0.859
O8 0.088 0.112 0.779
O9 0.203 0.630 0.048
O10 0.627 0.499 0.107
P6 0.260 0.091 0.745
O11 0.588 0.888 0.721
Sn2 0.928 0.303 0.800
O12 0.870 0.881 0.648
O13 0.215 0.257 0.082
O14 0.873 0.499 0.607
P7 0.717 0.532 0.530
P8 0.760 0.909 0.755
Sn3 0.072 0.697 0.200
O15 0.373 0.501 0.893
O16 0.130 0.119 0.352
O17 0.715 0.743 0.418
O18 0.797 0.370 0.952
O19 0.588 0.521 0.641
O20 0.370 0.119 0.852
O21 0.703 0.370 0.452
O22 0.412 0.479 0.359
Sn4 0.572 0.303 0.300
O23 0.127 0.501 0.393
O24 0.912 0.888 0.221
>>>

Next, give back the lines above from the one with "(0.0660, 0.5330," to the one with "(0.0667, 0.5334," word for word.

Mg (0.0660, 0.5330, 0.5000) (multiplicity 3)
Mg (0.0668, 0.1336, 0.5000) (multiplicity 3)
Mg (0.0669, 0.3336, 0.5000) (multiplicity 6)
Mg (0.0667, 0.5334, 0.1673) (multiplicity 6)